WaPo: Both Sides’ Accounts Incomplete and Flawed

Update (1539): From A1 of tomorrow’s WaPo: Swift Boat Accounts Incomplete And Flawed

An investigation by The Washington Post into what happened that day suggests that neither side has been entirely forthcoming, and that each has withheld information from the public record.

Two best-selling books have formed the basis for public discussion of the events of March 13, 1969, as a result of which Kerry won a Bronze Star and his third Purple Heart. The fullest account of Kerry’s experience in Vietnam is “Tour of Duty” by prominent presidential historian Douglas Brinkley. It was written with Kerry’s cooperation and with exclusive access to his diaries and other writings about the Vietnam War. “Unfit for Command,” by John E. O’Neill, who succeeded Kerry as commander of his Swift boat, and Jerome R. Corsi, lays out a detailed attack on Kerry’s record.

The Post’s research shows that both accounts contain significant flaws and factual errors. This reconstruction of the climactic day in Kerry’s military career is based on more than two dozen interviews with former crewmates and officers who served with him, as well as research in the Naval Historical Center here, where the Swift boat records are preserved. Kerry himself was the only surviving skipper on the river then who declined a request for an interview.

On the core issue of whether Kerry was wounded under enemy fire that day, thereby qualifying for a third Purple Heart, the Navy records clearly favor Kerry. Several documents, including the after-action report and the Bronze Star citation for a Swift Boat skipper who has accused Kerry of lying, refer to “all units” coming under “automatic and small-weapons fire.” The eyewitness accounts, on the other hand, are conflicting. Kerry’s former crew members support his version, as does Rassmann, the Special Forces officer rescued from the river. But many of the other skippers and enlisted men who were on the river that day dispute Kerry’s account and have signed up with Swift Boat Veterans for Truth, a public advocacy group that has aired television advertisements accusing Kerry of lying about his wartime service.

From an outsider’s perspective, the flotilla of five 50-foot Swift boats that followed the Bay Hap River that humid March day has spawned two competing webs of loyalty. One group is fiercely loyal to Kerry and frequently appears with him at campaign events. The other group dislikes him intensely and is doing everything it can to block his election. Many Swift boat veterans opposed to Kerry acknowledge that their disgust with him was fueled by his involvement in the antiwar movement. When they returned from Vietnam, they say, they were dogged by accusations of atrocities. While Kerry went on to make a prominent political career, they got jobs as teachers, accountants, surveyors and oil field workers. When he ran for president, partly on the strength of his war record, their resentment exploded.

The report does a good job of laying out several competing claims and why they aren’t easily verified. With respect to the Bronze Star argument that has played out the last couple days,

Much of the debate over who is telling the truth boils down to whether the two-page after-action report and other Navy records are accurate or whether they have been embellished by Kerry or someone else. In “Unfit for Command,” O’Neill describes the after-action report as “Kerry’s report.” He contends that language in Thurlow’s Bronze Star citation referring to “enemy bullets flying about him” must also have come from “Kerry’s after-action report.” O’Neill has said that the initials “KJW” on the bottom of the report “identified” it as having been written by Kerry. It is unclear why this should be so, as Kerry’s initials are JFK. A review of other Swift boat after-action reports at the Naval Historical Center here reveals several that include the initials “KJW” but describe incidents at which Kerry was not present. Other Swift boat veterans, including Thurlow and Chenoweth, have said they believe that Kerry wrote the March 13 report. “I didn’t like to write reports,” said Thurlow, who was the senior officer in the five-boat flotilla. “John would write the thing up in longhand, and it would then be typed up and sent up the line.”

Even if Kerry did write the March 13 after-action report, it seems unlikely that he would have been the source of the information about “enemy bullets” flying around Thurlow. The official witness to those events, according to Thurlow’s medal recommendation form, was Radioman 1st Class Robert Lambert, a member of his crew. The Post was unable to trace Lambert before publication of this article.

Interesting. Keryy, Thurlow, and Lambert all got the Bronze Star from the same write-up, signed by LTCDR Elliot. One wonders why the junior member wrote the report?

Some of the mystery surrounding exactly what happened on the Bay Hap River in March 1969 could be resolved by the full release of all relevant records and personal diaries. Much information is available from the Web sites of the Kerry campaign and Swift BoatVeterans for Truth, and the Navy archives. But both the Kerry and anti-Kerry camps continue to deny or ignore requests for other relevant documents, including Kerry’s personal reminiscences (shared only with biographer Brinkley), the boat log of PCF-94 compiled by Medeiros (shared only with Brinkley) and the Chenoweth diary.

Although Kerry campaign officials insist that they have published Kerry’s full military records on their Web site (with the exception of medical records shown briefly to reporters earlier this year), they have not permitted independent access to his original Navy records. A Freedom of Information Act request by The Post for Kerry’s records produced six pages of information. A spokesman for the Navy Personnel Command, Mike McClellan, said he was not authorized to release the full file, which consists of at least a hundred pages.

The question that most bothers me about all this has been “Why now?” Obviously, Kerry is running for president now, but he has run for high office against Republicans before. Indeed, one would think that they would at least have come forth during this year’s primaries. A partial explanation is uncovered in the WaPo account:

Kerry’s reunion with Rassmann in January this year, nearly 35 years after he pulled the former Green Beret from the river, was a defining moment of his presidential campaign. Many political observers believed that the images of the two men embracing helped Kerry win the Iowa Democratic caucuses. The “No Man Left Behind” theme has become a recurring image of pro-Kerry advertising.

But many of the men Kerry served with in Vietnam feel betrayed and left behind by him. Soon after Kerry returned to the United States, he began organizing antiwar rallies. Appearing before the Senate Foreign Relations Committee in April 1971, he said that U.S. troops in Vietnam had committed war crimes “with the full awareness of officers at all levels of command.” The anti-Kerry veterans began mobilizing earlier this year, following publication of the Brinkley biography and the nationwide publicity given to Kerry’s emotional reunion with Rassmann. Many of the veterans were contacted personally by Hoffmann, a gung-ho naval officer compared unflatteringly in “Tour of Duty” with the out-of-control lieutenant colonel in the movie “Apocalypse Now” who talked about how he loved “the smell of napalm in the morning.” Hoffmann, who was already angry with Kerry for his antiwar activities on his return from Vietnam, said in an interview that he was “appalled” to find out from reading “Tour of Duty” that Kerry was “considered to be a Navy hero.” “I thought there was a tremendous amount of gross exaggeration in the book, and in some places downright lies. So I started contacting some of my former shipmates,” he said.

One of the men Hoffmann contacted was O’Neill, a longtime Kerry critic who debated Kerry on television in 1971. O’Neill put Hoffmann in touch with some wealthy Republican Party contributors. One of O’Neill’s contacts was Texas millionaire Bob Perry, who has contributed $200,000 to Swift Boat Veterans for Truth. Perry has also contributed to the Bush campaign. “I’d met him three or four times and represented people he knew,” said O’Neill, who has been practicing law in Houston for nearly 30 years. In addition to helping to organize the anti-Kerry campaign, O’Neill wrote his own book about the senator’s wartime record, which soared to the top of the Amazon.com best-seller list before its publication earlier this month.

With the exception of a sailor named Stephen Gardner, who served with Kerry in late 1968 on PCF-44, Kerry’s own crew members have remained loyal to him. “If it wasn’t for some of his decisions, we would probably be some of the names in that wall,” said Gene Thorson, the engineman on PCF-94, referring to the Vietnam War Memorial. “I respect him very much.” Others who served on boats that operated alongside Kerry on that fateful day in March 1969 say they cannot stand the man who is now challenging George W. Bush for the presidency. “I think that Kerry’s behavior was abominable,” said Pees, the commander of the boat that hit the mine. “His actions after the war were particularly disgusting. He distorted the truth when he talked about atrocities. We went out of our way to protect civilians. To suggest otherwise is a grotesque lie. As far as I am concerned, he did not speak the truth about how we conducted operations in Vietnam.”
“A lot of people just can’t forgive and forget,” countered Kerry crew member Medeiros. “He was a great commander. I would have no trouble following him anywhere.”

Clearly, Tour of Duty and other attempts to capitalize on his Vietnam experience irked these people. On the other hand, almost no one tends to object to a Silver Star recipient being characterized as a “war hero.” Indeed, Bob Dole was routinely lauded as such even though he never received anything higher than a Bronze Star for his WWII service. Of course, Bob Dole’s Purple Heart was for a massive set of injuries that leaves him debilitated to this day.

Non-veterans tend not to understand these seemingly silly flaps over medals. Incidents like the 1996 suicide of Admiral Mike Boorda, the highest ranking admiral in the Navy, which was triggered over a scandal over a “V” device on a couple of low level medals, are simply incomprehensible. But a lot of Vietnam veterans have an incredible distate for Kerry. His sudden cloaking himself in a hero’s garb, thirty-odd years after throwing his medals away with disdain and accusing his comrades of unspeakable crimes has clearly sparked a level of rage that no one expected.

FILED UNDER: 2004 Election, The Presidency, , , , , , , , , , , , , , , , , ,
James Joyner
About James Joyner
James Joyner is a Professor of Security Studies. He's a former Army officer and Desert Storm veteran. Views expressed here are his own. Follow James on Twitter @DrJJoyner.


  1. Boyd says:

    I agree, the Post story is remarkably well-balanced for a news article. Their editorial page staff have been much less biased than the news staff recently. Obviously, Michael Dobbs didn’t bother to consult with Dana Milbank.

    And for future reference, the appropriate abbreviation for a Lieutenant Commander is LCDR.
    Those naval ranks always seem to trip folks up. 🙂

  2. The article was well-balanced, but the headline as I saw it was not (which is a pattern for the WaPo)

    I saw “Swift Vets Accounts Flawed …” .

  3. I read it wrong. Disregard my idiocy (if you don’t automatically).

  4. bains says:

    You ask, “[t]he question that most bothers me about all this has been “Why now?”. Just below this thread you comment on Willian Mood, who after years of silence finally comes forward to support certain aspects of Kerry’s records.

    Why now? Because affairs past have been thrust to the fore.

  5. Peter says:

    Mr. Kerry picked this fight. The millions of men (and some women) who came back from our tour(s) in that war mostly are quite content to leave it in the past. Would that we are able to.
    Those of us who remember Mr. Kerry’s antics in 1971 would have probably just quietly voted against him. It was Mr. Kerry’s choice to make Viet Nam the centerpiece of his campaign.
    I never served with Mr. Kerry, I have no idea which, if any, of his medals were deservered and which, if any were a result of gaming the system. I saw both types awarded.
    I only know that Mr. Kerry surrounded himself with ‘veterans’, many of whom never served at all, many more who never were in Viet Nam, and portrayed every single one of us as rapists-murderers-torturers. I’ve lived with that for over three decades.
    I’m no hero, just a guy who happened to be wearing Uncle’s suit when LBJ got a wild hair up his ass. I’m no war criminal, either. It is Mr. Kerry’s behavior then, in 1971, and now, that make me believe O’Neil and company.
    I, while not particularly courageous when given a chice, have known many courageous men and women in my life. None of them have ever blamed a Secret Service Agent for falling while snowboarding.

  6. Sandcrab says:

=====
Entry from the Materials Project database: a relaxed structure of TiAgPO5 (PBE).

- E (eV per formula unit) = -58.1
- calculated density (g cm⁻³) = 4.12
- SG = Pna2_1
- energy of formation (meV/atom) = -2585

Geometry as POSCAR:
```
TiAgPO5
1.0
12.677 0.000 0.000
0.000 6.336 0.000
0.000 0.000 10.705
Ti Ag P O
8 8 8 40
direct
0.129 0.032 0.000 Ti
0.224 0.294 0.734 Ti
0.276 0.794 0.234 Ti
0.371 0.532 0.500 Ti
0.629 0.468 0.000 Ti
0.724 0.206 0.734 Ti
0.776 0.706 0.234 Ti
0.871 0.968 0.500 Ti
0.112 0.745 0.605 Ag
0.149 0.313 0.293 Ag
0.351 0.813 0.793 Ag
0.388 0.245 0.105 Ag
0.612 0.755 0.605 Ag
0.649 0.187 0.293 Ag
0.851 0.687 0.793 Ag
0.888 0.255 0.105 Ag
0.021 0.845 0.270 P
0.183 0.537 0.002 P
0.317 0.037 0.502 P
0.479 0.345 0.770 P
0.521 0.655 0.270 P
0.683 0.963 0.002 P
0.817 0.463 0.502 P
0.979 0.155 0.770 P
0.007 0.927 0.406 O
0.029 0.035 0.178 O
0.071 0.303 0.732 O
0.108 0.728 0.996 O
0.119 0.341 0.042 O
0.124 0.711 0.266 O
0.207 0.059 0.865 O
0.227 0.072 0.600 O
0.236 0.506 0.873 O
0.248 0.002 0.120 O
0.252 0.502 0.620 O
0.264 0.006 0.373 O
0.273 0.572 0.100 O
0.293 0.559 0.365 O
0.376 0.211 0.766 O
0.381 0.841 0.542 O
0.392 0.228 0.496 O
0.429 0.803 0.232 O
0.471 0.535 0.678 O
0.493 0.427 0.906 O
0.507 0.573 0.406 O
0.529 0.465 0.178 O
0.571 0.197 0.732 O
0.608 0.772 0.996 O
0.619 0.159 0.042 O
0.624 0.789 0.266 O
0.707 0.441 0.865 O
0.727 0.428 0.600 O
0.736 0.994 0.873 O
0.748 0.498 0.120 O
0.752 0.998 0.620 O
0.764 0.494 0.373 O
0.773 0.928 0.100 O
0.793 0.941 0.365 O
0.876 0.289 0.766 O
0.881 0.659 0.542 O
0.892 0.272 0.496 O
0.929 0.697 0.232 O
0.971 0.965 0.678 O
0.993 0.073 0.906 O
```
=====

    I disagree with your statement regarding “a level of rage that no one expected” – I, for one, was raging about Kerry’s post-war activities long before the Iowa Caucuses, and know plenty of vets who felt the same way at the same time.